Croquettes. One of the quintessential products of the Mediterranean diet, essential in every house, table or restaurant, they have always opened endless debates. Everyone knows that the best ones are those of their grandmother or mother, but for the less talented in the kitchen there are also supermarket varieties with excellent results. (OCU), after developing a ranking where there are from popular brands to white brands.
Ham, stew, chicken, cod or even more ‘rare’ flavors such as baby squid or spinach. That juicy dough that croquettes form has become one of the greatest culinary whims. For this reason, the OCU has decided to analyze some of the best-known food chains (both private label and specialized companies) to value their flavour, ingredients, labelling… that is, make them look as similar as possible to the homemade
[Next to the piece, the page also holds materials data]
<<<
[1]
Li2MnVP3O12 | PBE+U | relaxed

a b c (Å): 8.258 8.329 8.981
angles (deg): 62.38 88.78 60.57
Positions (direct):
Li  0.000  0.000  0.000
Li  0.181  0.306  0.509
Li  0.501  0.556  0.497
Li  0.744  0.992  0.491
Mn  0.301  0.643  0.945
Mn  0.587  0.083  0.811
V  0.096  0.069  0.327
V  0.783  0.677  0.412
P  0.176  0.590  0.622
P  0.402  0.871  0.124
P  0.476  0.863  0.627
P  0.699  0.159  0.127
P  0.897  0.160  0.621
P  0.984  0.575  0.121
O  0.041  0.977  0.796
O  0.192  0.510  0.113
O  0.213  0.568  0.797
O  0.226  0.751  0.481
O  0.276  0.024  0.190
O  0.276  0.049  0.489
O  0.292  0.780  0.094
O  0.304  0.375  0.629
O  0.437  0.999  0.953
O  0.453  0.727  0.800
O  0.569  0.373  0.113
O  0.572  0.976  0.641
O  0.593  0.681  0.275
O  0.605  0.711  0.558
O  0.665  0.989  0.274
O  0.684  0.239  0.632
O  0.685  0.157  0.957
O  0.830  0.764  0.957
O  0.919  0.075  0.181
O  0.919  0.093  0.482
O  0.920  0.355  0.557
O  0.958  0.682  0.555
O  0.959  0.624  0.276
O  0.977  0.369  0.193

Properties
* formation energy from the elements: -2.583 eV per atom
* E: -7.11 eV/atom
* crystal system: triclinic
* distance to the lowest polymorph of the same formula: 16.2 meV/atom

[2]
P4WO12 | PBE+U | relaxed

a b c (Å): 10.593 10.593 5.380
angles (deg): 98.53 98.53 71.58
Positions (direct):
P  0.133  0.719  0.819
P  0.202  0.446  0.539
P  0.281  0.867  0.181
P  0.446  0.202  0.539
P  0.554  0.798  0.461
P  0.719  0.133  0.819
P  0.798  0.554  0.461
P  0.867  0.281  0.181
W  0.000  0.500  0.000
W  0.500  0.000  0.000
O  0.056  0.831  0.678
O  0.061  0.660  0.980
O  0.112  0.409  0.689
O  0.167  0.431  0.253
O  0.169  0.944  0.322
O  0.218  0.588  0.631
O  0.264  0.736  0.000
O  0.340  0.939  0.020
O  0.354  0.354  0.592
O  0.409  0.112  0.689
O  0.412  0.782  0.369
O  0.431  0.167  0.253
O  0.569  0.833  0.747
O  0.588  0.218  0.631
O  0.591  0.888  0.311
O  0.646  0.646  0.408
O  0.660  0.061  0.980
O  0.736  0.264  0.000
O  0.782  0.412  0.369
O  0.831  0.056  0.678
O  0.833  0.569  0.747
O  0.888  0.591  0.311
O  0.939  0.340  0.020
O  0.944  0.169  0.322

Properties
* formation energy from the elements: -2.461 eV per atom
* E: -7.24 eV/atom
* crystal system: monoclinic
* distance to the lowest polymorph of the same formula: 18.7 meV/atom

[3]
Li8Mn3Fe5B8O24 | PBE+U | relaxed

a b c (Å): 6.044 9.712 9.775
angles (deg): 65.02 79.57 78.27
Positions (direct):
Li  0.000  0.000  0.000
Li  0.000  0.499  0.499
Li  0.408  0.565  0.370
Li  0.409  0.067  0.871
Li  0.500  0.001  0.500
Li  0.502  0.500  0.002
Li  0.909  0.567  0.871
Li  0.910  0.067  0.372
Mn  0.268  0.826  0.810
Mn  0.767  0.825  0.310
Mn  0.768  0.327  0.810
Fe  0.139  0.742  0.556
Fe  0.141  0.242  0.057
Fe  0.270  0.323  0.309
Fe  0.636  0.243  0.555
Fe  0.640  0.741  0.056
B  0.119  0.167  0.645
B  0.122  0.663  0.148
B  0.289  0.400  0.722
B  0.289  0.899  0.223
B  0.621  0.166  0.149
B  0.621  0.666  0.647
B  0.789  0.901  0.722
B  0.792  0.400  0.223
O  0.119  0.895  0.342
O  0.121  0.396  0.842
>>>
[So much for the materials data]
Some characteristics that should also lead to not cheating the consumer, since some brands have perfected their strategy so much that they already market croquettes with different shapes to confuse them with those made at home.
In addition, the texture (where the bechamel and the flour are essential), the batter (they are crispy) and the flavor (the fewer additives, the better) are the bases on which the OCU is based.
La Cocinera stands out for both cooked and ham
In this way, the institution awards the gold medal to . Listed as “master purchase”, these croquettes have a score of 61 out of 100 thanks to their 100% national ham. Ready in just 4 minutes, they can be found practically in any supermarket and their price ranges from 0 to 0 (always in packs of 15 to 17 croquettes).
Behind them and with the same score, but not with the nickname of “master purchase”, are those of . In terms of ham variety, the OCU highlights its quality and “acceptable” tasting. , in a pack of 300 grams for 2.99 euros.
He closes the podium, again as the protagonist. With a score of 60 out of 100, they obtain a very good mark in hygiene, “acceptable” in tasting and stand out for their high meat content. Like the cooked ones, available in almost any establishment, their prices range from to or .
Mercadona, undisputed leader in white label
Continuing with the OCU classification, the first white label croquettes slip into fourth place. A new success for Mercadona that this time under the Preli brand gets the nickname of “advantageous purchase” in the cooked variety. Rated 58 out of 100, these “delicatessen” croquettes are ready in 3 minutes. , its price is 2.10 euros in packs of 350 grams.
Already behind and far from the Mercadona product, the OCU highlights those for 2.25 euros, those for 2.65 euros, those for 0.98 euros, or those for 0.94 euros . These last two, the institution grants its worst marks due to its failure in tasting.